  • 国与其他西方强国结成了贸易及防御联盟。
    Britain have allied itself with other western power for trade and defence.
  • 在两次世界大战中,国都是与美国联盟。
    Great Britain was allied with the United States in both World Wars.
  • 协约国在第一次世界大战期间与欧洲同盟国对抗的结盟国家,有俄国、法国、国,后来又有包括美国的其它很多国家,
    The nations allied against the Central Powers of Europe during World War I. They were Russia, France, Great Britain, and later many others, including the United States.
  • 国和俄国在二次世界大战中是盟国。
    England and Russia are allies in the second world war.
  • 国和俄国在二次世界大战中是盟国。
    England and russia is allies in the second world war.
  • 在美国佛罗里达州,一只澳大利亚布卢·赫勒犬为保护其年迈的主人而与鳄鱼捕斗,被授予“本年度狗雄奖”。
    An Australian Blue heeler dog which fought off an alligator to protect its elderly owner in Florida has been honoured with a "Dog Hero of the Year"award.
  • 政府已经拨给受灾地区一千万镑。
    The Government has allocated ten million pounds to the stricken area.
  • 海克,弗雷德里希·奥古斯特·冯生于1899出生于奥地利的国经济学家,因在能源最佳配置理论方面的研究而获1974年诺贝尔奖
    Austrian-born British economist. He shared a1974 Nobel Prize for work on the theory of optimum allocation of resources.
  • 香港一所大学的副校长过去曾经公开批评,特区政府不能够像港政府时代,抱着“教养别人的孩子”的心态而吝于拨款,缺乏眼光。
    As noted earlier by the deputy vice-chancellor of a Hong Kong university, the SAR government should not grudge allotting funds for education as did the former Hong Kong-British authorities, who were reluctant to spend resources on "the upbringing of other people's children".
Materials data, as found in the file >
┌──
## LiFe4P7O24 (GGA+U)

Data for an optimized crystal structure of LiFe4P7O24.

Computed properties:
**Calculated volume**: 12.565 Å³/atom
**DFT formation energy**: -2.412 eV per atom
**Space-group type**: P-1, No. 2

a = 10.2431 Å, b = 10.3147 Å, c = 10.7436 Å
α = 108.80°, β = 111.22°, γ = 105.21°
Closest atoms and distances in Å follow each position.
Fractional coordinates of all 72 atoms:
Li  0.0513  0.2465  0.1701  4 O 2.67-2.99
Li  0.9487  0.7535  0.8299  4 O 2.67-2.99
Fe  0.0002  0.1004  0.7568  6 O 1.96-2.13
Fe  0.9998  0.8996  0.2432  6 O 1.96-2.13
Fe  0.0124  0.6604  0.3889  5 O 1.93-2.16
Fe  0.4852  0.8234  0.9078  4 O 1.91-2.01
Fe  0.4999  0.3827  0.5759  5 O 1.95-2.08
Fe  0.5001  0.6173  0.4241  5 O 1.95-2.08
Fe  0.5148  0.1766  0.0922  4 O 1.91-2.01
Fe  0.9876  0.3396  0.6111  5 O 1.93-2.16
P  0.2315  0.1789  0.6179  4 O 1.51-1.61
P  0.2405  0.9648  0.7427  4 O 1.51-1.61
P  0.2491  0.5391  0.5487  4 O 1.53-1.58
P  0.2504  0.6093  0.9782  4 O 1.50-1.62
P  0.2720  0.7813  0.2748  4 O 1.49-1.61
P  0.3037  0.0591  0.2382  4 O 1.51-1.65
P  0.3053  0.3769  0.0674  4 O 1.52-1.64
P  0.6947  0.6231  0.9326  4 O 1.52-1.64
P  0.6963  0.9409  0.7618  4 O 1.51-1.65
P  0.7280  0.2187  0.7252  4 O 1.49-1.61
P  0.7496  0.3907  0.0218  4 O 1.50-1.62
P  0.7509  0.4609  0.4513  4 O 1.53-1.58
P  0.7595  0.0352  0.2573  4 O 1.51-1.61
P  0.7685  0.8211  0.3821  4 O 1.51-1.61
O  0.1058  0.5075  0.8285  1 P 1.50
O  0.1200  0.2179  0.6768  1 P 1.57
O  0.1234  0.9868  0.7966  1 P 1.54
O  0.1250  0.9830  0.1593  1 P 1.54
O  0.1304  0.2752  0.9658  1 P 1.54
O  0.1353  0.4063  0.5473  1 P 1.54
O  0.1349  0.7818  0.3018  1 P 1.53
O  0.1427  0.0629  0.4530  1 P 1.51
O  0.1507  0.5613  0.4161  1 P 1.55
O  0.1629  0.8254  0.5926  1 P 1.51
O  0.1909  0.6621  0.0988  2 P 1.61-1.62
O  0.3134  0.1073  0.7184  2 P 1.61
O  0.3342  0.4398  0.2297  1 P 1.53
O  0.3355  0.6790  0.7028  1 P 1.53
O  0.3467  0.5209  0.0309  2 P 1.59-1.64
O  0.3543  0.0668  0.1244  1 P 1.51
O  0.3558  0.7531  0.9938  1 P 1.50
O  0.3627  0.9441  0.2946  2 P 1.59-1.65
O  0.3664  0.3194  0.6588  1 P 1.52
O  0.3724  0.2095  0.3753  1 P 1.51
O  0.3722  0.4979  0.5097  1 P 1.58
O  0.3813  0.9750  0.8708  1 P 1.54
O  0.3867  0.7450  0.3723  1 P 1.49
O  0.4100  0.3052  0.0393  1 P 1.52
O  0.5900  0.6948  0.9607  1 P 1.52
O  0.6133  0.2550  0.6277  1 P 1.49
O  0.6187  0.0250  0.1292  1 P 1.54
O  0.6278  0.5021  0.4903  1 P 1.58
O  0.6276  0.7905  0.6247  1 P 1.51
O  0.6336  0.6806  0.3412  1 P 1.52
O  0.6373  0.0559  0.7054  2 P 1.59-1.65
O  0.6442  0.2469  0.0062  1 P 1.50
O  0.6457  0.9332  0.8756  1 P 1.51
O  0.6533  0.4791  0.9691  2 P 1.59-1.64
O  0.6645  0.3210  0.2972  1 P 1.53
O  0.6658  0.5602  0.7703  1 P 1.53
O  0.6866  0.8927  0.2816  2 P 1.61
O  0.8091  0.3379  0.9012  2 P 1.61-1.62
O  0.8371  0.1746  0.4074  1 P 1.51
O  0.8493  0.4387  0.5839  1 P 1.55
O  0.8573  0.9371  0.5470  1 P 1.51
O  0.8651  0.2182  0.6982  1 P 1.53
O  0.8647  0.5937  0.4527  1 P 1.54
└──
  • 给他每年1000 镑的开销
    allowed him £1000 for expenses
  • 允许每人开支为15镑.
    Allow 15 per head for expenses.
  • 国在第一次世界大战中是美国的同盟国。
    Britain was an ally of America in the World War I.
  • 法国和国在这次战争中是同盟国。
    France and England were allies in the war.
  • )在四旬斋、复活节或圣诞节里吃的一种果糕(有时上盖杏泥)。
    (British) a fruitcake (sometimes covered with almond paste) eaten at mid-Lent or Easter or Christmas.
  • 他差不多有六英尺高.
    He's almost six feet tall.
  • 这个雄被人们高擎肩上。
    The hero was borne aloft on the shoulders of the crowd.
**Between two parts of the text: data records**
/*
[1]
The following is a PBE calculation of crystalline VFe3Si4 at its relaxed geometry, from Materials Project.

a b c (Å): 4.5308 4.5308 4.5308
angles (deg): 89.49 89.49 89.49
Sites, in units of the cell vectors:
Si1 0.1508 0.8567 0.6607
Si2 0.3340 0.3340 0.3340
Si3 0.6607 0.1508 0.8567
Si4 0.8567 0.6607 0.1508
V1 0.6361 0.6361 0.6361
Fe1 0.8532 0.1380 0.3704
Fe2 0.3704 0.8532 0.1380
Fe3 0.1380 0.3704 0.8532

Calculated values
For the energy with MP2020 corrections, the calculation gives -59.51 eV per cell. The formation enthalpy at 0 K comes out at -320 kJ/mol of formula units. As for the total energy: -7.4739 eV per atom.

[2]
The following is a PBE calculation of crystalline RbNbAsClO5 at its relaxed geometry, from Materials Project.

a b c (Å): 6.7844 6.7844 7.8862
angles (deg): 90.00 90.00 90.00
Sites, in units of the cell vectors:
O1 0.8023 0.0000 0.8638
O2 0.0000 0.1977 0.1362
O3 0.6977 0.5000 0.1362
O4 0.3023 0.5000 0.1362
O5 0.0000 0.8023 0.1362
O6 0.5000 0.0000 0.1202
O7 0.0000 0.5000 0.8798
O8 0.5000 0.3023 0.8638
O9 0.1977 0.0000 0.8638
O10 0.5000 0.6977 0.8638
Rb1 0.0000 0.0000 0.5000
Rb2 0.5000 0.5000 0.5000
Cl1 0.5000 0.0000 0.5571
Cl2 0.0000 0.5000 0.4429
As1 0.5000 0.5000 0.0000
As2 0.0000 0.0000 0.0000
Nb1 0.5000 0.0000 0.8990
Nb2 0.0000 0.5000 0.1010

Calculated values
For the energy with MP2020 corrections, the calculation gives -125.40 eV per cell. The formation enthalpy at 0 K comes out at -1966 kJ/mol of formula units. As for the total energy: -6.5850 eV per atom.

[3]
The following is a PBE calculation of crystalline LiO2 at its relaxed geometry, from Materials Project.

a b c (Å): 2.9611 3.9857 4.8961
angles (deg): 90.00 90.00 90.00
Sites, in units of the cell vectors:
Li1 0.5000 0.5000 0.5000
Li2 0.0000 0.0000 0.0000
O1 0.0000 0.1319 0.4144
O2 0.5000 0.6319 0.0856
O3 0.0000 0.8681 0.5856
O4 0.5000 0.3681 0.9144

Calculated values
The value obtained for the offset from the most stable computed form is 0.0 meV/atom. For the energy with MP2020 corrections, the calculation gives -29.87 eV per cell. The formation enthalpy at 0 K comes out at -302 kJ/mol of formula units. As for the total energy: -4.8705 eV per atom.

[4]
The following is a PBE calculation of crystalline Ca4Sb2O at its relaxed geometry, from Materials Project.

a b c (Å): 4.7107 4.7107 8.8447
angles (deg): 105.44 105.44 90.00
Sites, in units of the cell vectors:
O1 0.5000 0.5000 0.0000
Sb1 0.1395 0.1395 0.2791
Sb2 0.8605 0.8605 0.7209
Ca1 0.0000 0.5000 0.0000
Ca2 0.6653 0.6653 0.3306
Ca3 0.3347 0.3347 0.6694
Ca4 0.5000 0.0000 0.0000

Calculated values
For the energy with MP2020 corrections, the calculation gives -33.32 eV per cell. The formation enthalpy at 0 K comes out at -1166 kJ/mol of formula units. As for the total energy: -4.6614 eV per atom.

[5]
The following is a PBE calculation of crystalline NaNdAu2 at its relaxed geometry, from Materials Project.

a b c (Å): 5.1109 5.1109 5.1109
angles (deg): 60.00 60.00 60.00
Sites, in units of the cell vectors:
*/
  • 她早晨大声读英语。
    She reads English aloud in the morning.
  • 在学习语中朗读是很重要的。
    Read aloud is very important in learning English.
  • 他们保持每天朗读语。
Misplaced calculated crystals:
<<<
1.
Density functional theory data (PBE) for a relaxed Ba4Ce2O7 crystal.

Output
- offset from the most stable computed form (eV per atom) = 0.058
- M_tot (μB/f.u.) = 1.73

a = 19.1979 Å, b = 11.3793 Å, c = 7.8669 Å
α = 90.00°, β = 91.26°, γ = 90.00°
Last column: nearest neighbours and their distance in Å.
Space group P2_1/c (No. 14)
One atom of each set of equivalent atoms:
Ba 0.0803 0.2208 0.4839 (multiplicity 4)  3 O 2.56-2.76
Ba 0.0898 0.5548 0.6672 (multiplicity 4)  4 O 2.71-2.87
Ba 0.2459 0.7281 0.9687 (multiplicity 4)  6 O 2.71-3.00
Ba 0.2511 0.0558 0.8013 (multiplicity 4)  3 O 2.54-2.75
Ba 0.4109 0.2478 0.5256 (multiplicity 4)  4 O 2.64-2.72
Ba 0.4142 0.5991 0.6633 (multiplicity 4)  5 O 2.70-3.01
Ce 0.0829 0.5798 0.1775 (multiplicity 4)  4 O 2.18-2.28
Ce 0.2592 0.0776 0.3107 (multiplicity 4)  4 O 2.15-2.34
Ce 0.4187 0.5753 0.1738 (multiplicity 4)  4 O 2.13-2.35
O 0.0000 0.0000 0.5000 (multiplicity 2)  2 Ce 2.28
O 0.0105 0.1536 0.1897 (multiplicity 4)  1 Ce 2.26
O 0.1101 0.0628 0.8553 (multiplicity 4)  1 Ce 2.20
O 0.1501 0.7325 0.2163 (multiplicity 4)  1 Ce 2.18
O 0.1685 0.0009 0.4705 (multiplicity 4)  2 Ce 2.34-2.51
O 0.2624 0.5436 0.6002 (multiplicity 4)  1 Ce 2.16
O 0.3043 0.2443 0.2452 (multiplicity 4)  1 Ce 2.15
O 0.3374 0.6943 0.2353 (multiplicity 4)  1 Ce 2.13
O 0.3521 0.0049 0.4482 (multiplicity 4)  2 Ce 2.22-2.35
O 0.4219 0.0409 0.8881 (multiplicity 4)  1 Ce 2.14
O 0.4976 0.7085 0.2134 (multiplicity 4)  1 Ce 2.16

2.
Density functional theory data (PBE) for a relaxed BaCeO3 crystal.

a = 6.3147 Å, b = 6.3147 Å, c = 15.2608 Å
α = 90.00°, β = 90.00°, γ = 120.00°
Last column: nearest neighbours and their distance in Å.
Space group R-3c (No. 167, hexagonal axes)
One atom of each set of equivalent atoms:
Ba 0.0000 0.0000 0.2500 (multiplicity 6)  3 O 2.73
Ce 0.0000 0.0000 0.0000 (multiplicity 6)  6 O 2.26
O 0.0000 0.4318 0.2500 (multiplicity 18)  2 Ce 2.26

3.
Density functional theory data (PBE) for a relaxed Ba2CePrO6 crystal.

Output
- offset from the most stable computed form (eV per atom) = 0.000
- M_tot (μB/f.u.) = 1.00

a = 9.0159 Å, b = 9.0159 Å, c = 9.0159 Å
α = 90.00°, β = 90.00°, γ = 90.00°
Last column: nearest neighbours and their distance in Å.
Space group Pn-3 (No. 201, origin choice 2)
One atom of each set of equivalent atoms:
Ba 0.2500 0.2500 0.2500 (multiplicity 2)  12 O 3.18
Ba 0.2500 0.2500 0.7500 (multiplicity 6)  4 O 2.77
Ce 0.0000 0.0000 0.0000 (multiplicity 4)  6 O 2.23
Pr 0.0000 0.0000 0.5000 (multiplicity 4)  6 O 2.36
O 0.0306 0.5357 0.7426 (multiplicity 24)  1 Ce 2.23, 1 Pr 2.36

4.
Density functional theory data (PBE) for a relaxed Ba2CePrO6 crystal.

Output
- offset from the most stable computed form (eV per atom) = 0.045
- M_tot (μB/f.u.) = 1.00

a = 9.0534 Å, b = 9.0534 Å, c = 9.0534 Å
α = 90.00°, β = 90.00°, γ = 90.00°
Last column: nearest neighbours and their distance in Å.
Space group Fm-3m (No. 225)
One atom of each set of equivalent atoms:
Ba 0.2500 0.2500 0.2500 (multiplicity 8)  12 O 3.20
>>>
End of the calculated crystals:
    They keep on reading english aloud every day.
  • 在学习语中朗读是很重要的。
    It is very essential to read aloud in study English.
  • 老师坚决要求学生们早上朗读语。
    The teacher came down on his students to read aloud their English in the morning.
  • “是彬格莱小姐写来的,”吉说,一面把信读出来:
    "It is from Miss Bingley," said Jane, and then read it aloud.
  • 语字母表中有26个字母。
    There are 26 letters in the English alphabet.
  • 文字母表以A开始, 以Z结束.
    The English alphabet begins with `A' and ends with `Z'.
  • 英文的第二个字母
    B second letter of the alphabet
  • 你能倒念文字母吗?
    Can you say the alphabet backwards?
  • p字母现代语字母表中的第16个字母
    The16th letter of the modern English alphabet.
  • h字母现代语字母表中的第八个字母
    The eighth letter of the modern English alphabet.
  • 字母d现代语字母表中的第四个字母
    The fourth letter of the modern English alphabet.
  • v字母现代语字母表的第二十二个字母
    The 22nd letter of the modern English alphabet.
  • i字母现代语字母表中的第九个字母
    The ninth letter of the modern English alphabet.
  • w字母现代语字母表中的第23个字母
    The 23rd letter of the modern English alphabet.